Sunday, January 4, 2015

# Records of crystals that have nothing to do with the article
[1]
This record from Alexandria describes a relaxed MgMnAu2 crystal. The functional is PBEsol.

POSCAR file:
```
MgMnAu2
1.0
-1.969 1.969 4.171
1.969 -1.969 4.171
1.969 1.969 -4.171
Mg Mn Au
1 1 2
Direct
0.000 0.000 0.000 Mg
0.750 0.250 0.500 Mn
0.250 0.750 0.500 Au
0.500 0.500 0.000 Au
```

Values from the calculation:
Space-group type ... I-4m2
Formation enthalpy at 0 K ... -0.2065 eV/atom
DOS at the Fermi energy ... 1.81 states/eV/cell
Total magnetic moment ... 1.01 μB per atom

[2]
This record from Alexandria describes a relaxed LiZnSe2 crystal. The functional is PBEsol.

POSCAR file:
```
LiZnSe2
1.0
-2.244 2.244 3.520
2.244 -2.244 3.520
2.244 2.244 -3.520
Li Zn Se
1 1 2
Direct
0.000 0.000 0.000 Li
0.500 0.500 0.000 Zn
0.250 0.750 0.500 Se
0.750 0.250 0.500 Se
```

Values from the calculation:
Space-group type ... I4/mmm
E_form (uncorrected) ... -297 meV per atom
DOS at the Fermi energy ... 1.64 states/eV/cell
Total magnetic moment ... 0.00 μB per atom

[3]
This record from Alexandria describes a relaxed BaCeC2O6F crystal. The functional is PBEsol.

POSCAR file:
```
BaCeC2O6F
1.0
2.526 1.459 12.603
-2.526 1.459 12.603
0.000 -2.917 12.603
Ba Ce C O F
2 2 4 12 2
Direct
0.000 0.000 0.000 Ba
0.500 0.500 0.500 Ba
0.245 0.245 0.245 Ce
0.755 0.755 0.755 Ce
0.107 0.107 0.107 C
0.374 0.374 0.374 C
0.626 0.626 0.626 C
0.893 0.893 0.893 C
0.078 0.520 0.520 O
0.188 0.746 0.746 O
0.254 0.254 0.812 O
0.254 0.812 0.254 O
0.480 0.480 0.922 O
0.480 0.922 0.480 O
0.520 0.078 0.520 O
0.520 0.520 0.078 O
0.746 0.188 0.746 O
0.746 0.746 0.188 O
0.812 0.254 0.254 O
0.922 0.480 0.480 O
0.184 0.184 0.184 F
0.816 0.816 0.816 F
```

Values from the calculation:
Space-group type ... R-3m
E_form (uncorrected) ... -2455 meV per atom
DOS at the Fermi energy ... 16.66 states/eV/cell
Total magnetic moment ... 0.09 μB per atom

[4]
This record from Alexandria describes a relaxed InSi2Mo crystal. The functional is PBEsol.

POSCAR file:
```
InSi2Mo
1.0
4.335 0.000 0.000
0.000 4.335 0.000
0.000 0.000 3.345
In Si Mo
1 2 1
Direct
0.000 0.000 0.000 In
0.000 0.500 0.500 Si
0.500 0.000 0.500 Si
0.500 0.500 0.000 Mo
```

Values from the calculation:
Space-group type ... P4/mmm
E_form (uncorrected) ... 341 meV per atom
DOS at the Fermi energy ... 2.57 states/eV/cell
Total magnetic moment ... 0.00 μB per atom


1.
TlMo2Br (GGA-PBEsol, optimized geometry); space-group type = Fm-3m, No. 225; magnetization = 0.0 μB/f.u.; E_form (uncorrected) = 1064 meV/atom; volume = 69.12 Å³ per cell; ΔE to the lowest computed polymorph = 704 meV per atom; Fermi-level density of states = 6.2 states/eV/cell
1.0
4.607 0.000 0.000
2.303 3.989 0.000
2.303 1.330 3.761
Mo Tl Br
2 1 1
Cartesian
2.303 1.330 0.940 Mo
6.910 3.989 2.821 Mo
4.607 2.660 1.881 Tl
0.000 0.000 0.000 Br

2.
Tl3MoBr (GGA-PBEsol, optimized geometry); space-group type = Pm-3m, No. 221; magnetization = 4.8 μB/f.u.; E_form (uncorrected) = 1192 meV/atom; volume = 195.79 Å³ per cell; Fermi-level density of states = 1.8 states/eV/cell
1.0

A Living Epiphany

-- Here the article breaks off for data records --
Record 1
The following is a GGA-PBE calculation of an optimized crystal structure of ZnNiGeRu, from the Alexandria database. Values from VASP.

Quantum ESPRESSO input file:
```
&SYSTEM
  ibrav = 0, nat = 4, ntyp = 4
/
ATOMIC_SPECIES
Zn 65.41 Zn.upf
Ni 58.69 Ni.upf
Ge 72.64 Ge.upf
Ru 101.07 Ru.upf
ATOMIC_POSITIONS crystal
Zn 0.000 0.000 0.000
Ni 0.500 0.500 0.000
Ge 0.000 0.500 0.500
Ru 0.500 0.000 0.500
CELL_PARAMETERS angstrom
3.069 0.000 0.000
0.000 4.091 0.000
0.000 0.000 4.202
```

Properties
As for the symmetry: Pmmm. The formation energy comes out at -0.786 eV per formula unit. As for the distance to the lowest polymorph of the same formula: 0.000 eV/atom.

***

Record 2
The following is a GGA-PBE calculation of an optimized crystal structure of LaHg2Cl, from the Alexandria database. Values from VASP.

Quantum ESPRESSO input file:
```
&SYSTEM
  ibrav = 0, nat = 4, ntyp = 3
/
ATOMIC_SPECIES
La 138.91 La.upf
Hg 200.59 Hg.upf
Cl 35.45 Cl.upf
ATOMIC_POSITIONS crystal
La 0.000 0.000 0.000
Hg 0.000 0.500 0.500
Hg 0.500 0.000 0.500
Cl 0.500 0.500 0.000
CELL_PARAMETERS angstrom
3.795 0.000 0.000
0.000 4.701 0.000
0.000 0.000 5.854
```

Properties
As for the symmetry: Pmmm. As for the distance to the lowest polymorph of the same formula: 0.012 eV/atom.

***

Record 3
The following is a GGA-PBE calculation of an optimized crystal structure of LuPaOs2, from the Alexandria database. Values from VASP.

Quantum ESPRESSO input file:
```
&SYSTEM
  ibrav = 0, nat = 4, ntyp = 3
/
ATOMIC_SPECIES
Lu 174.97 Lu.upf
Pa 231.04 Pa.upf
Os 190.23 Os.upf
ATOMIC_POSITIONS crystal
Lu 0.000 0.000 0.000
Pa 0.500 0.500 0.000
Os 0.000 0.500 0.500
Os 0.500 0.000 0.500
CELL_PARAMETERS angstrom
4.770 0.000 0.000
0.000 4.770 0.000
0.000 0.000 3.448
```

Properties
As for the symmetry: P4/mmm. The formation energy comes out at -1.398 eV per formula unit. As for the distance to the lowest polymorph of the same formula: 0.000 eV/atom.

“Rise up in splendor, Jerusalem! Your light has come, the glory of the Lord shines upon you.” (Isaiah 60:1)

=====
[1]
First-principles (PBE) data for a geometry-optimized Y2ScInS structure, as listed in Alexandria.

a b c (Å): 5.1750 5.1750 4.8343
angles (deg): 90.00 90.00 90.00
Fractional positions:
Y (0.0000, 0.5000, 0.0000)
Y (0.5000, 0.0000, 0.0000)
Sc (0.0000, 0.0000, 0.5000)
S (0.0000, 0.0000, 0.0000)
In (0.5000, 0.5000, 0.5000)

Calculated values
Formation energy without anion corrections, eV/atom: -0.907
E_tot, eV/atom: -6.132
Symmetry: No. 123

=====

[2]
First-principles (PBE) data for a geometry-optimized SrSbAs3 structure, as listed in Alexandria.

a b c (Å): 5.5428 5.5428 5.5428
angles (deg): 90.00 90.00 90.00
Fractional positions:
Sb (0.5000, 0.5000, 0.5000)
As (0.0000, 0.5000, 0.0000)
As (0.0000, 0.0000, 0.5000)
As (0.5000, 0.0000, 0.0000)
Sr (0.0000, 0.0000, 0.0000)

Calculated values
Formation energy without anion corrections, eV/atom: 1.044
E_tot, eV/atom: -2.906
Energy above the lowest structure with this stoichiometry, meV per atom: 902.0
Symmetry: No. 221

=====

[3]
First-principles (PBE) data for a geometry-optimized InSnAu structure, as listed in Alexandria.

a b c (Å): 3.6325 6.7995 7.2983
angles (deg): 87.60 60.12 89.97
Fractional positions:
Au (0.7862, 0.1840, 0.9210)
Au (0.7867, 0.6838, 0.4209)
Sn (0.6011, 0.8111, 0.1064)
Sn (0.9720, 0.5569, 0.7355)
In (0.5889, 0.0491, 0.6190)
In (0.9828, 0.3180, 0.2235)

Calculated values
E_tot, eV/atom: -3.481
Symmetry: No. 10
Calculated formation energy, meV per atom: -141


Record 1
Entry from Alexandria: crystalline Sm2Tm8Th3 at its relaxed geometry (PBE).

## Properties
The value obtained for the final energy is -5.026 eV per atom. The formation energy is 164 meV per atom. The energy above the most stable polymorph in this dataset is 0.0 meV per atom. The calculated density comes out at 9398 kg/m³.

POSCAR file:
```
Sm2Tm8Th3
1.0
-2.7899 3.3661 11.0457
2.7899 -3.3661 11.0457
2.7899 3.3661 -11.0457
Sm Tm Th
2 8 3
direct
0.2243 0.2243 0.0000
0.7757 0.7757 0.0000
0.0754 0.0754 0.0000
0.0915 0.3509 0.7405
0.3202 0.8202 0.5000
0.3896 0.6491 0.7405
0.6104 0.3509 0.2595
0.6798 0.1798 0.5000
0.9085 0.6491 0.2595
0.9246 0.9246 0.0000
0.2311 0.5000 0.7311
0.5000 0.0000 0.5000
0.7689 0.5000 0.2689
```

***

Record 2
Entry from Alexandria: crystalline Sm6TmTh at its relaxed geometry (PBE).

## Properties
The value obtained for the final energy is -4.985 eV per atom. The formation energy is 40 meV per atom. The energy above the most stable polymorph in this dataset is 5.8 meV per atom. The calculated density comes out at 8180 kg/m³.

POSCAR file:
```
Sm6TmTh
1.0
5.0979 0.0000 0.0000
0.0000 5.0979 0.0000
0.0000 0.0000 10.1784
Sm Tm Th
6 1 1
direct
0.0000 0.0000 0.0000
0.0000 0.0000 0.5000
0.0000 0.5000 0.2489
0.0000 0.5000 0.7511
0.5000 0.0000 0.2489
0.5000 0.0000 0.7511
0.5000 0.5000 0.5000
0.5000 0.5000 0.0000
```

***

Record 3
Entry from Alexandria: crystalline Sm10Tm6Th at its relaxed geometry (PBE).

## Properties
=====
## End of the data records

There are so many lights out in the world that distract us.  So many things that try to draw our attention.  I think of the last time that I was in Times Square in New York which used to be a collection of billboards but has become a collection of frenetic video boards that cause an all out assault on the senses.  What are they announcing?  Broadway shows, movies, television shows, ads for clothing, destinations, etc.  All these lights point to something that will apparently make us happy.  Yet only one light does. 2000 years ago one particular light, one particular star caught the attention of three Magi from the East and they followed it.  That star ended up leading them to the child Jesus.  That star called them to journey to a strange land, encounter strange (and evil) characters in order to rightfully pay homage to the newborn king.  Today we celebrate the manifestation of the light and salvation of Christ to all nations.  No longer was it reserved to just Israel.  We are all now the beneficiaries of this love, and his star shines on us all.

Yet going back to the Times Square analogy, so many lights distract us.  To use another comparison, light can obscure light.  For example, we cannot behold the total beauty of a star-filled night sky because the city lights obscure all but a few stars.  In our spiritual life, so many things come disguised as light but lead us further into darkness.  If sin did not come disguised as light, and let us not forget that Satan used to be the angel of light, then we would not commit sin.  But we do, and thus we stop following the Christmas star that leads us to Jesus.  We do not allow the light of Christ that we received in baptism to shine in our hearts and thus shine before others.  If Epiphany means manifestation then the challenge of this day is for us to become living epiphanies, living manifestations of Christ’s light and love for others.  Let me explain.

I came across this brilliant quote in our bulletin the other day among some of the “filler” that we often use that is sent to us by our bulletin company.  It said:  “Many people have no inkling of the beauty and urgency of God’s call.  Only through our lives and convictions will this call be revealed.”  The star called the Magi from the East to leave what was familiar to them and to search out the newborn king.  The star calls us to abandon our familiar ways and recognize the beauty and urgency of God’s call.  The world that wanders in darkness urgently needs to see this light shining in us.  “The Eucharist enables us to be God’s epiphany.  The Eucharist sends us forth to proclaim the news and bring others in this unity.”  Here at this altar we become Christ-like because we receive Christ.  We become God’s epiphany because we are called to go and manifest his light and his love to the world.  Today we must recognize the urgency of this call and the need to focus on the light of Christ and not on the other lights that are trying to capture our attention.  Christ’s marvelous light shines in you.  You can’t hide it.  We must have the conviction to share that light with others.  This is our urgent call.  If not you, whom?  If not now, when?